Policy sticking plasters won’t solve the low-pay, low-skills problem

Published on 30 October 2017

Last week saw the publication of the latest annual data on earnings. After a brief recovery starting in 2014, once again they are rising more slowly than prices. That’s not because the rate of increase in cash wages has slowed down; it simply hasn’t sped up enough to match the recent acceleration in prices inflation.

Last week saw the publication of the latest annual data on earnings. After a brief recovery starting in 2014, once again they are rising more slowly than prices. That’s not because the rate of increase in cash wages has slowed down; it simply hasn’t sped up enough to match the recent acceleration in prices inflation.

That’s relatively unusual. What is truly staggering, though, is that average real earnings remain lower than they were a decade ago. This is easily the worst decade for earnings growth since anything resembling comparable data has been available, and possibly the worst decade since the middle of the 18th century. Among advanced economies, only Greece has done worse since the financial crisis.

Yet other forces are altering the experience of working life. Most urgently, it has become clear that left to itself the labour market is not working for the low-paid and the low-skilled. The old, and important, mantra that the overwhelming priority should be to make sure that people have a job is no longer enough. There are more people in jobs than ever before, but for many their earnings are not enough to lift them out of poverty. Those with low skills not only experience low pay, they also tend to get stuck on low pay. They have little access to training and their wages don’t grow as they gain more experience. Those who enter work with poor qualifications and low levels of skill may have the most need for training once they are in work, but they are much the least likely to get any. The better educated you are to start with, the more training you’ll get.

For low-skilled men, another more recent phenomenon has been added to this toxic mixture: an extraordinary growth in part-time working. In the mid-1990s, among the fifth of men aged 25 to 55 with the lowest hourly wage, only one in twenty worked less than thirty hours a week. That’s one in five today. Obviously, fewer hours means less pay, but another reason this matters is that working part-time tends to have remarkably little value in leading to higher wages later on. For most people, especially those with higher levels of education, more experience begets more skills leading to higher wages over time. In the UK, that happy upwards trajectory simply does not exist for most part-timers.

Not all is gloom. Two policies have been remarkably successful at mitigating some of the effects of these trends. The first was the big expansion in tax credits during the 2000s. Over the past 20 years, low-income working households have experienced much lower increases in earnings than have high-income households. But, in large part because tax credits have filled the gap, their incomes have not fallen behind. The result is that, beyond what has been happening at the very top of the distribution, increased earnings inequality has not led to a rise in overall income inequality. Indeed, income inequality has declined somewhat in the most recent period.

The second is the minimum wage, now the national living wage, which has boosted the hourly earnings of the lowest-paid relative to the average. Not that one should think that a higher minimum wage can stand in place of in work benefits. Those with low hourly earnings (often, for example, second earners in a household) are not the same people as those with low household incomes. Minimum wages and in-work benefits are complements, not substitutes.

Yet even in combination, minimum wages and benefits are nowhere near a full solution to the wider problem of low skills, low wages, low incomes and growing insecurity. They create their own problems.

Benefits are withdrawn as earnings rise, limiting the value of taking on any additional work. The present system is structured to give many people a big incentive to work 16 or 24 hours a week, but not a minute more. Universal credit will get rid of the very weakest work incentives, but many recipients will still lose more than 70 pence for every pound of additional earnings.

There is obviously also a limit to how high minimum wages can be pushed. As the balance of power between firms and workers has shifted in favour of the former, there is an obvious temptation to legislate to increase pay, to enhance worker rights and to impose more responsibilities on employers. That has happened with some success not only in raising minimum wages but also in enforcing auto-enrolment into pensions.

But we are already seeing the limits to such an approach. Firms don’t have to enter into an employment contract to get the job done. The extraordinary explosion in the ranks of the self-employed in recent years is clear evidence of that. The more rights we assign to employees, the more companies will use other contractual arrangements, which will leave workers with fewer rights and less security. The growing divergence between the rights of employees and the self-employed, the growth in the gig economy and the persistence with which we continue to provide firms with enormous tax incentives to hire self-employed contractors rather than employees are all pushing in the same direction.

Here the article breaks off for records of crystals:
~~~
Entry 1:
Starting from a PBE+U-relaxed structure, the PXRD pattern of Li4MgCo3O8 was calculated for a wavelength of 1.5418 Å.
Kinematic intensities with the Lorentz-polarization factor, no thermal factor.

Top 8 peaks for 15 to 90 degrees two-theta, by intensity:
- 2θ = 18.73°, I = 100, hkl 0 0 3
- 2θ = 44.64°, I = 77, hkl 0 2 4
- 2θ = 36.89°, I = 37, hkl 0 2 1
- 2θ = 65.36°, I = 21, hkl 2 2 0
- 2θ = 64.58°, I = 20, hkl 2 0 8
- 2θ = 58.84°, I = 14, hkl 0 2 7
- 2θ = 68.66°, I = 14, hkl 2 2 3
- 2θ = 19.00°, I = 12, hkl 1 0 1

Structure:
```
data_Li4MgCo3O8
_chemical_formula_sum 'Li12 Mg3 Co9 O24'
_cell_length_a 5.7112
_cell_length_b 5.7112
_cell_length_c 14.2161
_cell_angle_alpha 90.00
_cell_angle_beta 90.00
_cell_angle_gamma 120.00
_space_group_name_H-M_alt 'R -3 m'
_space_group_IT_number 166
_space_group_name_Hall '-R 3 2"'
loop_
_atom_site_label
_atom_site_type_symbol
_atom_site_fract_x
_atom_site_fract_y
_atom_site_fract_z
Li1 Li 0.0000 0.0000 0.0000
Li2 Li 0.0000 0.5000 0.0000
Mg1 Mg 0.0000 0.0000 0.5000
Co1 Co 0.0000 0.5000 0.5000
O1 O 0.0000 0.0000 0.2389
O2 O 0.0159 0.5080 0.7595
```

Entry 2:
Starting from a PBE+U-relaxed structure, the PXRD pattern of SrZnCrP2O8 was calculated for a wavelength of 1.5418 Å.
Kinematic intensities with the Lorentz-polarization factor, no thermal factor.

Top 8 peaks for 15 to 90 degrees two-theta, by intensity:
- 2θ = 27.95°, I = 100, hkl 0 2 -2
- 2θ = 30.38°, I = 61, hkl 1 1 1
- 2θ = 31.23°, I = 49, hkl 1 0 -3
- 2θ = 32.83°, I = 47, hkl -1 2 1
- 2θ = 32.30°, I = 41, hkl 2 0 -1
- 2θ = 33.25°, I = 26, hkl 2 -1 0
- 2θ = 28.73°, I = 26, hkl -1 1 2
- 2θ = 46.31°, I = 23, hkl 1 3 -1

Structure:
```
data_SrZnCrP2O8
_chemical_formula_sum 'Sr2 Zn2 Cr2 P4 O16'
_cell_length_a 5.610
_cell_length_b 6.959
_cell_length_c 9.400
_cell_angle_alpha 109.40
_cell_angle_beta 102.66
_cell_angle_gamma 98.80
_space_group_name_H-M_alt 'P -1'
_space_group_IT_number 2
loop_
_space_group_symop_operation_xyz
'x,y,z'
'-x,-y,-z'
loop_
_atom_site_label
_atom_site_type_symbol
_atom_site_fract_x
_atom_site_fract_y
_atom_site_fract_z
Sr1 Sr 0.247 0.200 0.447
Zn1 Zn 0.496 0.380 0.141
Cr1 Cr 0.136 0.840 0.047
P1 P 0.110 0.579 0.268
P2 P 0.335 0.020 0.796
O1 O 0.118 0.925 0.851
~~~

Tax credits and minimum wages have proved effective and important, but they are sticking plasters. Relying on a piecemeal approach to solving problems risks perverse outcomes, damaging precisely those we are trying to help. The deep problems in our labour market — low skills, a lack of training and of progression opportunities for part-time workers — require deeper and longer-term solutions.

This article was first published in The Times and is reproduced here in full with permission. Paul Johnson is director of the Institute for Fiscal Studies. Follow him on twitter @PJTheEconomist.